Given:
- - -
1.
64
Properties=species:S:1:pos:R:3:forces:R:3 method="wB97M-V/def2-TZVPD" energy_ha=-2396.8634 e_homo_ev="-6.93 / -6.92" orbital_gap_ev="3.20 / 3.20" lumo_energy_ha="-0.137 / -0.137" total_charge=+1
C -0.887358 2.751702 -3.516967 -0.40 1.04 0.82
C -0.923591 1.894033 -2.412664 0.13 -0.20 -0.97
N 0.223972 1.554279 -1.777081 -0.27 0.43 -0.30
C 1.394319 2.125461 -2.156466 -0.41 0.12 -0.07
C 1.447296 3.122987 -3.123636 0.04 -0.64 -0.01
C 0.286388 3.453834 -3.805922 -0.12 -0.29 -0.12
C -2.300921 1.385998 -1.943766 0.10 -0.03 0.00
P -2.218771 0.135113 -0.574405 -0.39 0.36 -1.40
Sn 0.148843 0.283243 0.273806 -0.11 -0.30 1.42
P 2.523165 0.123565 -0.547671 1.18 -0.08 -0.74
C 2.680485 1.719579 -1.474031 0.40 -0.53 0.72
C -0.095672 -1.654736 1.383306 0.01 1.28 -0.59
C -0.793199 -1.650021 2.585494 0.09 -0.54 0.34
C -0.826050 -2.821793 3.353011 -0.07 -0.03 -0.07
C -0.180675 -3.978201 2.901378 0.15 0.15 -0.23
C 0.446898 -3.986210 1.645545 -0.32 0.12 0.15
C 0.448235 -2.823388 0.862727 0.41 -0.32 0.28
O -2.029662 -1.741420 -5.473941 -0.09 0.82 0.56
O 1.518511 -1.922342 -3.819223 1.33 2.21 -1.01
H -1.845483 3.074721 -3.951490 0.59 -0.42 -0.05
H 2.424031 3.537994 -3.361681 -0.32 0.16 0.01
H 0.307052 4.243134 -4.558217 -0.11 -0.31 0.13
C -3.460296 0.942872 0.444576 -0.21 -0.33 0.29
C -2.805678 -1.507617 -1.085798 -0.25 -0.26 0.01
H 3.513635 1.588549 -2.190792 -0.52 0.18 0.18
H 2.999252 2.483821 -0.741141 -0.22 -0.18 -0.30
H -3.028831 1.101356 -2.768202 1.20 0.21 0.77
H -2.777044 2.237237 -1.413202 0.29 -0.27 -0.49
C 3.726568 0.117073 0.806521 -0.03 0.32 0.32
C 3.044753 -1.169087 -1.691263 -0.11 0.10 0.50
H -1.305059 -0.759539 2.939730 0.17 -0.01 0.11
H -1.351848 -2.824968 4.311565 0.18 -0.02 -0.33
H -0.167227 -4.880896 3.521150 -0.05 0.39 -0.27
H 0.920582 -4.897889 1.275782 -0.21 0.29 0.05
H 0.879004 -2.845101 -0.139303 0.04 -0.06 0.21
H 1.081910 -2.746871 -3.693812 -1.77 -2.52 0.00
H 2.145314 -2.073135 -4.547061 -0.43 -0.05 0.20
H -1.934398 -1.858126 -4.493557 0.48 0.20 -1.53
H -1.642435 -0.884641 -5.772797 -0.29 -1.11 0.84
H -0.082593 -4.178623 -3.932236 0.21 0.62 0.52
H -4.242094 1.210202 -0.270219 -0.21 -0.03 0.34
H -3.854429 0.281070 1.211305 -0.02 0.11 0.15
H -3.028166 1.852223 0.867646 -0.08 -0.11 0.10
H -3.902507 -1.504207 -1.051409 0.17 0.07 -0.18
H -2.459093 -1.807619 -2.086565 0.00 0.27 0.31
H -2.474494 -2.291662 -0.391846 0.13 0.34 -0.02
H 3.999865 -0.924970 -2.179772 -0.23 0.12 0.30
H 3.138838 -2.129707 -1.172615 -0.01 0.20 0.03
H 2.266764 -1.303070 -2.463774 0.22 -0.08 -0.06
H 4.749761 0.118225 0.394826 -0.42 -0.03 0.15
H 3.583047 1.001111 1.445515 0.10 -0.28 -0.11
H 3.568142 -0.795840 1.403770 0.10 0.31 -0.22
S 0.234476 2.522009 1.495022 0.11 -1.08 -1.59
C -0.016512 2.005203 3.138956 -0.47 -0.63 1.64
C 0.897906 1.158376 3.799710 -0.39 0.34 -0.24
C 0.670860 0.773627 5.119947 -0.22 0.14 -0.09
C -0.471193 1.238061 5.791483 0.29 0.01 -0.24
C -1.379515 2.088831 5.147139 0.13 -0.22 0.21
C -1.171130 2.455688 3.822600 0.66 -0.25 -0.43
H 1.764218 0.794120 3.240165 -0.18 0.12 0.32
H 1.392183 0.114146 5.614028 -0.38 0.26 -0.13
H -0.637138 0.930015 6.822123 -0.02 0.14 -0.22
H -2.254672 2.461149 5.686151 0.29 -0.17 -0.21
H -1.878513 3.081077 3.277578 0.14 -0.07 0.28

2.
18
Properties=species:S:1:pos:R:3:forces:R:3 method="wB97M-V/def2-TZVPD" energy_ha=-3837.5345 e_homo_ev=-10.89 orbital_gap_ev=11.31 smiles=ClC(Cl)Cl.ClC(Cl)Cl.ClCCCl lumo_energy_ha=0.016 e_above_lowest_ev=0.254
Cl -2.111066 -2.411433 -0.623578 0.06 -0.40 0.24
C -1.261724 -1.129352 -1.524464 0.04 0.22 0.52
C -0.730730 -1.703816 -2.812172 -0.31 -0.38 -0.30
Cl 0.370997 -0.571380 -3.639814 -0.32 0.14 -0.05
H -0.461816 -0.727766 -0.908572 0.05 -0.18 0.05
H -2.038721 -0.372577 -1.596731 0.29 0.20 -0.68
H -1.577919 -1.998960 -3.432400 0.19 0.35 -0.35
H -0.144402 -2.610042 -2.684559 -0.02 0.06 0.49
C 1.817374 1.450992 0.355427 1.02 0.50 -1.03
Cl 1.745672 2.313868 -1.229692 -0.30 -0.54 0.33
Cl 3.232712 2.105131 1.188568 -0.25 0.02 0.37
Cl 2.044275 -0.291479 0.154202 -0.29 0.29 -0.09
- - -
Wanted:
Next, retype the part of the listing further up that starts with the line with "-1.171130 2.455688" and stops after the one with "1.817374 1.450992".
Result:
C -1.171130 2.455688 3.822600 0.66 -0.25 -0.43
H 1.764218 0.794120 3.240165 -0.18 0.12 0.32
H 1.392183 0.114146 5.614028 -0.38 0.26 -0.13
H -0.637138 0.930015 6.822123 -0.02 0.14 -0.22
H -2.254672 2.461149 5.686151 0.29 -0.17 -0.21
H -1.878513 3.081077 3.277578 0.14 -0.07 0.28

2.
18
Properties=species:S:1:pos:R:3:forces:R:3 method="wB97M-V/def2-TZVPD" energy_ha=-3837.5345 e_homo_ev=-10.89 orbital_gap_ev=11.31 smiles=ClC(Cl)Cl.ClC(Cl)Cl.ClCCCl lumo_energy_ha=0.016 e_above_lowest_ev=0.254
Cl -2.111066 -2.411433 -0.623578 0.06 -0.40 0.24
C -1.261724 -1.129352 -1.524464 0.04 0.22 0.52
C -0.730730 -1.703816 -2.812172 -0.31 -0.38 -0.30
Cl 0.370997 -0.571380 -3.639814 -0.32 0.14 -0.05
H -0.461816 -0.727766 -0.908572 0.05 -0.18 0.05
H -2.038721 -0.372577 -1.596731 0.29 0.20 -0.68
H -1.577919 -1.998960 -3.432400 0.19 0.35 -0.35
H -0.144402 -2.610042 -2.684559 -0.02 0.06 0.49
C 1.817374 1.450992 0.355427 1.02 0.50 -1.03